Job:
Transcribe only the last part of the material below, starting with the line that has "0.781".
Material:
-- begin --
Theoretical X-ray diffraction stick pattern
Compound: Y3In2Hg
Radiation: λ = 1.5418 Å (Cu Kα)
Structure: a crystal structure in Alexandria, relaxed with GGA-PBE

a b c (Å): 3.7241 3.7241 11.4483
angles (deg): 90.00 90.00 90.00
Fractional coordinates of all 6 atoms:
Y (0.0000, 0.0000, 0.0000)
Y (0.0000, 0.0000, 0.3389)
Y (0.0000, 0.0000, 0.6611)
In (0.5000, 0.5000, 0.1709)
In (0.5000, 0.5000, 0.8291)
Hg (0.5000, 0.5000, 0.5000)

The 6 most intense peaks (10° ≤ 2θ ≤ 80°), most intense first:
2theta, I_rel, index
33.6, 1000, 1 0 3
34.0, 486, 1 1 0
60.7, 355, 2 1 3
59.9, 182, 1 1 6
48.9, 172, 2 0 0
70.7, 110, 2 0 6

----------

For Hf3Ni2As4Pd2, a structure optimized by DFT (GGA-PBE) gives the computed powder XRD pattern in this record (Cu Kα (weighted mean of Kα1 and Kα2)).
No peak broadening, texture or thermal motion is included.

Principal peaks in the range 2θ = 5–70°, in order of falling intensity:
Position (°2θ)  I_rel  h k l
36.0  100.0  2 1 0
43.0  63.6  0 1 3
37.9  54.3  2 1 -1
38.1  53.9  2 1 1
47.2  44.5  0 2 0
36.2  33.4  1 1 2
11.7  24.4  0 0 1
13.5  23.6  1 0 0
69.9  22.8  3 1 -4
38.5  20.2  1 0 3
38.2  20.1  1 0 -3
45.2  19.8  2 0 -3

Cell and atoms:
a = 6.563 Å, b = 3.847 Å, c = 7.535 Å
α = 90.00°, β = 90.62°, γ = 90.00°
Element x y z (fractional)
Hf  0.000  0.000  0.000
Hf  0.074  0.500  0.375
Hf  0.513  0.000  0.869
Ni  0.705  0.500  0.121
Ni  0.914  0.000  0.622
As  0.300  0.500  0.061
As  0.315  0.000  0.564
As  0.781  0.500  0.790
As  0.790  0.000  0.316
Pd  0.171  0.500  0.745
Pd  0.407  0.000  0.249

For Ba3As4Pt4, a structure optimized by DFT (GGA-PBE) gives the computed powder XRD pattern in this record (Cu Kα (weighted mean of Kα1 and Kα2)).
No peak broadening, texture or thermal motion is included.

Principal peaks in the range 2θ = 5–70°, in order of falling intensity:
Position (°2θ)  I_rel  h k l
31.3  100.0  1 1 2
39.3  27.8  0 2 0
28.5  27.0  0 1 3
40.5  26.9  1 0 5
6.8  26.3  0 0 1
40.8  25.1  2 0 0
57.7  19.0  1 2 5
57.9  18.0  2 2 0
64.8  16.2  1 1 8
45.2  15.3  1 1 5
66.3  11.8  1 3 2
50.5  11.1  2 1 3

Cell and atoms:
a = 4.428 Å, b = 4.585 Å, c = 12.904 Å
α = 90.00°, β = 90.00°, γ = 90.00°
Element x y z (fractional)
Ba  0.000  0.000  0.000
Ba  0.500  0.000  0.301
Ba  0.500  0.000  0.699
As  0.000  0.500  0.389
As  0.000  0.500  0.611
As  0.500  0.500  0.104
As  0.500  0.500  0.896
Pt  0.000  0.000  0.500
Pt  0.000  0.500  0.193
Pt  0.000  0.500  0.807
Pt  0.500  0.500  0.500

For K2PdBr4, a structure optimized by DFT (GGA-PBE) gives the computed powder XRD pattern in this record (Cu Kα (weighted mean of Kα1 and Kα2)).
No peak broadening, texture or thermal motion is included.

Principal peaks in the range 2θ = 5–70°, in order of falling intensity:
Position (°2θ)  I_rel  h k l
11.8  100.0  0 1 0
33.8  99.6  0 2 2
20.2  91.1  1 0 0
31.4  83.7  1 2 0
39.7  58.6  1 2 2
26.3  57.9  1 1 1
54.2  48.9  2 2 2
23.5  41.1  1 1 0
48.6  32.5  0 4 0
41.1  30.0  2 0 0
65.4  25.8  2 4 0
43.4  24.2  1 3 1

Cell and atoms:
a = 4.393 Å, b = 7.504 Å, c = 7.497 Å
α = 90.00°, β = 90.00°, γ = 90.00°
Element x y z (fractional)
K  0.000  0.000  0.000
K  0.000  0.500  0.496
Pd  0.500  0.500  0.996
Br  0.500  0.266  0.763
Br  0.500  0.267  0.230
Br  0.500  0.733  0.230
Br  0.500  0.734  0.763

For BaHo4Si5O17, a structure optimized by DFT (GGA-PBE) gives the computed powder XRD pattern in this record (Cu Kα (weighted mean of Kα1 and Kα2)).
No peak broadening, texture or thermal motion is included.

Principal peaks in the range 2θ = 5–70°, in order of falling intensity:
Position (°2θ)  I_rel  h k l
28.3  100.0  1 5 0
16.2  36.6  0 2 1
41.2  32.3  0 0 3
29.1  31.7  1 2 -2
26.1  29.7  1 2 1
30.5  24.1  0 3 2
28.0  22.6  1 1 -2
22.6  22.4  0 4 1
18.9  21.2  1 1 -1
33.0  20.8  2 1 -1
32.8  15.0  0 4 2
34.0  14.9  2 0 0

Cell and atoms:
a = 5.509 Å, b = 19.671 Å, c = 6.852 Å
α = 90.00°, β = 106.58°, γ = 90.00°
Element x y z (fractional)
Ba  0.240  0.250  0.316
Ba  0.760  0.750  0.684
Ho  0.301  0.039  0.618
-- stop --
Done:
As  0.781  0.500  0.790
As  0.790  0.000  0.316
Pd  0.171  0.500  0.745
Pd  0.407  0.000  0.249

For Ba3As4Pt4, a structure optimized by DFT (GGA-PBE) gives the computed powder XRD pattern in this record (Cu Kα (weighted mean of Kα1 and Kα2)).
No peak broadening, texture or thermal motion is included.

Principal peaks in the range 2θ = 5–70°, in order of falling intensity:
Position (°2θ)  I_rel  h k l
31.3  100.0  1 1 2
39.3  27.8  0 2 0
28.5  27.0  0 1 3
40.5  26.9  1 0 5
6.8  26.3  0 0 1
40.8  25.1  2 0 0
57.7  19.0  1 2 5
57.9  18.0  2 2 0
64.8  16.2  1 1 8
45.2  15.3  1 1 5
66.3  11.8  1 3 2
50.5  11.1  2 1 3

Cell and atoms:
a = 4.428 Å, b = 4.585 Å, c = 12.904 Å
α = 90.00°, β = 90.00°, γ = 90.00°
Element x y z (fractional)
Ba  0.000  0.000  0.000
Ba  0.500  0.000  0.301
Ba  0.500  0.000  0.699
As  0.000  0.500  0.389
As  0.000  0.500  0.611
As  0.500  0.500  0.104
As  0.500  0.500  0.896
Pt  0.000  0.000  0.500
Pt  0.000  0.500  0.193
Pt  0.000  0.500  0.807
Pt  0.500  0.500  0.500

For K2PdBr4, a structure optimized by DFT (GGA-PBE) gives the computed powder XRD pattern in this record (Cu Kα (weighted mean of Kα1 and Kα2)).
No peak broadening, texture or thermal motion is included.

Principal peaks in the range 2θ = 5–70°, in order of falling intensity:
Position (°2θ)  I_rel  h k l
11.8  100.0  0 1 0
33.8  99.6  0 2 2
20.2  91.1  1 0 0
31.4  83.7  1 2 0
39.7  58.6  1 2 2
26.3  57.9  1 1 1
54.2  48.9  2 2 2
23.5  41.1  1 1 0
48.6  32.5  0 4 0
41.1  30.0  2 0 0
65.4  25.8  2 4 0
43.4  24.2  1 3 1

Cell and atoms:
a = 4.393 Å, b = 7.504 Å, c = 7.497 Å
α = 90.00°, β = 90.00°, γ = 90.00°
Element x y z (fractional)
K  0.000  0.000  0.000
K  0.000  0.500  0.496
Pd  0.500  0.500  0.996
Br  0.500  0.266  0.763
Br  0.500  0.267  0.230
Br  0.500  0.733  0.230
Br  0.500  0.734  0.763

For BaHo4Si5O17, a structure optimized by DFT (GGA-PBE) gives the computed powder XRD pattern in this record (Cu Kα (weighted mean of Kα1 and Kα2)).
No peak broadening, texture or thermal motion is included.

Principal peaks in the range 2θ = 5–70°, in order of falling intensity:
Position (°2θ)  I_rel  h k l
28.3  100.0  1 5 0
16.2  36.6  0 2 1
41.2  32.3  0 0 3
29.1  31.7  1 2 -2
26.1  29.7  1 2 1
30.5  24.1  0 3 2
28.0  22.6  1 1 -2
22.6  22.4  0 4 1
18.9  21.2  1 1 -1
33.0  20.8  2 1 -1
32.8  15.0  0 4 2
34.0  14.9  2 0 0

Cell and atoms:
a = 5.509 Å, b = 19.671 Å, c = 6.852 Å
α = 90.00°, β = 106.58°, γ = 90.00°
Element x y z (fractional)
Ba  0.240  0.250  0.316
Ba  0.760  0.750  0.684
Ho  0.301  0.039  0.618